I enjoy reading about the early days of the internet. I have a strong feeling that only one guy really understood it. Only one guy really got what was going on, and what to do. I don’t mean Bill gates, or The google guys, or Steve Jobs. I don’t mean Woz, I don’t mean Tim Berners lee. I mean Jeff Bezos.
Jeff Bezos understood that the internet was like a big new country being discovered, where all the land was free. And soon, everyone would be emigrating there. Whoever owned all that land would be very very wealthy and powerful. He Realized he had to ‘get big fast’ and more importantly he realized that it was a long term win, where if you didn’t make money for a decade, in fact if you absolutely threw money down the drain for the first decade, it didn’t matter, as long as you won.

Gaming is pretty big, and it’s getting bigger. For a long time, gamers were just kids. Nobody over 30 played games. It was a niche thing. You wouldn’t make a living doing it. Then it became something that made decent money. then game developers started driving ferraris. Then Call of Duty started appearing on the news. The Minecraft happened. And so on…
Unrelated to this article: data records:
'''
The following is a quantum chemistry calculation of a 3-piece molecular cluster, C32H55BN2O12P2S2 overall at a distorted geometry, from OMol25.

Structure (XYZ):
```
106
Properties=species:S:1:pos:R:3:forces:R:3:mulliken_charge:R:1
C 9.81000 -1.32728 0.15247 -0.65 -0.52 -1.01 -1.071
N 9.20098 -0.13366 -0.48279 0.52 0.52 2.14 -0.113
C 7.84504 -0.02063 0.10019 -0.27 -0.74 -0.68 -1.009
B 10.00909 1.03727 -0.22604 -0.49 0.02 -0.42 0.544
O 11.39462 0.95600 -0.17030 -0.22 0.15 0.29 -0.606
C 9.25588 2.42000 -0.00335 0.58 -0.68 -0.75 0.482
C 9.22288 3.04827 1.23556 -0.15 0.36 -0.04 -0.788
C 8.51847 4.23755 1.40651 0.34 -0.45 -0.02 -0.979
C 7.85094 4.76519 0.31880 -0.24 0.47 0.19 0.872
C 7.90330 4.15664 -0.93410 -0.19 0.23 -0.13 0.575
C 8.60391 2.97650 -1.10963 -0.08 0.45 0.47 -0.542
C 7.15343 4.83423 -2.04388 -0.03 -0.18 0.22 -0.335
O 7.49361 4.76686 -3.20105 -0.13 -0.13 -0.06 -0.584
C 5.92938 5.56158 -1.60105 -0.32 0.04 -0.08 -0.259
C 5.83314 6.12109 -0.39541 0.24 -0.08 0.26 0.530
C 4.63722 6.83570 0.17140 0.27 0.19 -0.35 -0.688
C 3.28656 6.43874 -0.43621 -0.09 -0.03 0.87 -0.951
C 3.04207 4.92300 -0.54550 -0.10 -0.09 -1.02 -0.298
S 1.57546 4.39289 0.39422 0.32 0.00 0.04 -0.147
C 1.08084 2.92782 -0.55770 -0.04 0.28 -0.64 0.376
S -0.17206 3.15560 -1.57998 -0.01 -0.33 0.11 -0.274
N 1.78750 1.74024 -0.41876 -0.96 1.18 1.73 0.154
C 2.76827 1.73740 0.67257 0.57 -0.94 0.01 -0.336
C 2.14247 1.66387 2.08548 0.31 0.25 0.43 -0.602
O 0.75937 1.39461 2.08276 -0.21 0.30 -0.55 -0.439
C 0.49145 0.31242 1.22160 0.48 -0.66 0.17 -0.271
C 0.94430 0.55296 -0.24070 0.11 -1.21 -0.53 -0.856
C 7.04988 6.02377 0.48115 0.30 -0.16 -0.34 -0.392
O 7.38438 6.90090 1.24183 -0.32 -0.01 0.24 -0.576
H 9.68792 -1.30615 1.24238 0.31 0.12 0.01 0.348
H 10.84029 -1.46560 -0.15969 0.04 0.09 0.15 0.371
H 9.23408 -2.19362 -0.18665 0.20 -0.10 0.03 0.347
H 7.37180 -1.00472 0.02590 -0.03 0.06 0.00 0.350
H 7.20505 0.65922 -0.45637 0.16 0.24 0.13 0.275
H 7.87770 0.23203 1.16470 -0.10 0.18 -0.06 0.381
H 11.70821 0.65734 0.68818 0.26 -0.10 -0.12 0.336
H 9.73870 2.62426 2.09020 0.04 -0.06 -0.06 0.414
H 8.49851 4.72012 2.37478 -0.11 0.15 -0.09 0.468
H 8.61805 2.49748 -2.08076 0.05 0.02 -0.01 0.534
H 5.08756 5.59762 -2.28543 0.21 0.07 -0.22 0.426
H 4.78580 7.90718 -0.00031 0.01 -0.01 0.13 0.339
H 4.66550 6.71853 1.25722 -0.16 -0.12 -0.03 0.384
H 3.13509 6.94480 -1.38959 0.06 -0.21 -0.10 0.368
H 2.52090 6.84465 0.23117 0.02 0.14 -0.13 0.501
H 3.92812 4.32902 -0.31996 -0.04 0.12 0.34 0.123
H 2.81726 4.69483 -1.59161 -0.06 -0.08 0.07 0.347
H 3.48625 2.54731 0.59379 -0.23 0.16 -0.03 -0.058
H 3.36298 0.82698 0.53942 -0.09 0.01 -0.19 0.386
H 2.27450 2.60254 2.62075 -0.11 0.04 -0.11 0.400
H 2.68358 0.89605 2.65853 -0.14 -0.10 -0.05 0.351
H -0.56071 0.03382 1.23752 -0.10 0.48 0.15 0.301
H 1.02218 -0.56872 1.61720 0.04 0.04 -0.08 0.332
H 1.55140 -0.30994 -0.52962 -0.02 0.07 -0.11 0.282
H 0.07214 0.52890 -0.88553 0.17 0.48 -0.21 0.278
C -1.12791 -5.76820 -2.22176 -0.09 0.06 0.14 -0.905
'''
Gaming is like a great big country waiting to be conquered, and right now, we do not know who has won. Some might say apple have won, because of the app store. others say maybe Microsoft win by default, due to the X-Box and Windows. or maybe Valve have won? or Zynga? The important thing right now is *we have no clear winner*. And long may that continue.
Thankfully, there is still a slight element of the free market in gaming. There is Kickstarter, Humble Bundle, Gamersgate, D2D,Steam and GoG, and that’s just third party PC game stores. We have some clear frontrunners but nobody has actually ‘won’ yet. I do have a great fear that the main word there is *yet*. As consumers, we will do absolutely NOTHING to maintain the free-market and level playing field. It’s just not in our nature. We worry that the supermarket will out-compete the local butchers, but we drive to the supermarket anyway because they have convenient parking. We are not the best guardians of free markets and competition. We are also, on the whole, oblivious of the fierce war being fought for our loyalty, our eyeballs, and our attention. Attention is everything. I *REALLY* want you to visit my site www.positech.co.uk and buy my games from there, or at least hear about me as an independent entity. If I could guarantee that you would buy my next few games from my website, it easily makes sense for em to offer you my current games for free, or even at a loss.
**These quantum chemistry results were left in the article by mistake**
........
[1]
70
Properties=species:S:1:pos:R:3 method="wB97M-V/def2-TZVPD" charge=-1 de_lowest_ev=1.9231 lumo_ev=0.755 total_energy_ev=-56797.424 homo_energy_ev=-5.95 mol_weight_g_mol=577.527 orbital_gap_ev=6.71
N 0.317 0.655 -0.543
O 0.998 -0.068 0.051
O -0.895 0.574 -0.418
O 0.802 1.203 -1.566
C -3.580 4.094 -0.479
C -1.937 4.130 -0.720
C -1.224 5.382 -0.182
C -2.017 6.557 0.530
C -3.538 6.369 0.710
C -4.321 5.219 0.003
N -1.288 7.703 0.983
O -1.621 8.021 2.189
O -0.364 8.194 0.393
H -4.070 3.172 -0.776
H -1.268 3.362 -1.277
H -0.194 5.281 -0.323
H -4.173 6.944 1.244
H -5.233 5.102 0.374
C 5.152 -2.160 -0.420
C 3.914 -1.538 -1.033
C 4.111 -0.270 -1.920
C 5.564 0.256 -2.240
C 6.636 -0.481 -1.640
C 6.433 -1.668 -0.711
N 5.778 1.319 -3.146
O 6.985 1.732 -3.422
O 4.846 1.744 -3.749
H 5.205 -2.845 0.213
H 2.906 -1.993 -0.640
H 3.099 0.111 -2.387
H 7.583 -0.320 -1.841
H 7.193 -2.254 -0.252
C -0.742 -2.838 0.683
C -1.842 -3.852 0.442
C -1.770 -5.163 1.224
C -0.418 -5.512 2.000
C 0.477 -4.319 2.395
C 0.307 -3.007 1.600
N -0.222 -6.914 2.652
O 0.994 -7.147 3.132
O -1.194 -7.660 2.676
H -0.686 -1.994 -0.028
H -2.624 -3.472 -0.256
H -2.469 -5.894 1.141
H 1.260 -4.551 3.053
H 1.117 -2.379 1.824
C 0.136 -2.035 -2.891
O 1.120 -2.753 -3.183
N -1.024 -2.246 -3.552
C -2.104 -1.303 -3.183
C -1.243 -3.257 -4.502
H -0.127 -1.340 -2.208
H -2.755 -1.582 -2.151
H -2.810 -1.314 -3.981
H -1.546 -0.328 -3.280
H -0.509 -3.299 -5.264
H -2.026 -2.846 -5.237
H -1.399 -4.331 -4.175
C -0.385 0.540 3.431
O 0.031 -0.135 4.332
N -1.479 1.308 3.619
C -2.029 2.160 2.514
C -2.173 1.449 4.943
H 0.037 0.475 2.462
H -2.276 3.161 2.979
H -2.792 1.825 2.018
H -1.387 2.404 1.845
H -2.452 2.535 5.295
H -1.666 0.986 5.844
H -3.163 1.084 4.813

[2]
15
Properties=species:S:1:pos:R:3 method="wB97M-V/def2-TZVPD" charge=0 de_lowest_ev=0.9136 lumo_ev=0.919 total_energy_ev=-16050.724 homo_energy_ev=-8.62 smiles=NCN.CS mol_weight_g_mol=94.183 orbital_gap_ev=9.54
C -2.512 0.993 -1.138
S -1.453 1.969 -0.097
H -3.463 1.464 -1.356
H -1.930 0.866 -2.054
H -2.674 -0.056 -0.858
H -1.851 1.541 1.112
N 2.909 -2.315 0.666
C 2.062 -1.248 0.121
N 0.661 -1.119 0.471
H 3.088 -2.386 1.652
H 2.677 -3.163 0.177
H 2.586 -0.309 0.096
H 1.893 -1.563 -0.917
H 0.158 -1.992 0.540
H 0.312 -0.558 1.243

[3]
17
Properties=species:S:1:pos:R:3 method="wB97M-V/def2-TZVPD" charge=0 de_lowest_ev=1.9642 lumo_ev=0.666 total_energy_ev=-10914.611 homo_energy_ev=-8.17 smiles="C=C(N)CCC(=O)O" mol_weight_g_mol=115.132 orbital_gap_ev=8.84
O 2.514 0.606 -1.412
C 2.141 0.865 -0.352
O 2.546 1.829 0.572
C 1.025 0.301 0.432
C -0.202 0.108 -0.502
C -1.390 -0.688 -0.095
C -2.610 -0.138 -0.079
N -0.934 -1.951 0.278
H 3.224 2.469 0.176
H 0.703 1.122 1.263
H 1.435 -0.696 0.827
H -0.610 1.140 -0.755
H 0.047 -0.208 -1.507
H -3.423 -0.810 0.059
H -2.844 0.887 -0.057
H -0.047 -2.178 0.530
H -1.574 -2.658 0.622

[4]
3
........
Indies don’t generally think like this. Especially with their first game. You normally have bills to pay, and getting into debt is scary. If you earn $1,000 in a month, the thought of spending that $1,00 on adverts to get people to come buy your current game at a loss…. that’s madness right?
That’s what Jeff Bezos did.
Me…I don’t quite have the balls for that, but I’m pointing out that the big boys out there who want your eyeballs do. There is a war going on for the attention of gamers. To the winners go huge spoils. It’s fascinating, exciting and frightening to see. I just hope there’s still room for little old me.